My favorite character in the Big Book of Alcoholics Anonymous is the “Jaywalker.” His story can be found on pages 37-38 in the Big Book. The Jaywalker’s penchant for jaywalking is an analogy to the escalation of our drinking. Just as the Jaywalker progresses in his disease of jaywalking, we progress in our drinking career.
At first the Jaywalker gets a thrill out of running in front of fast moving cars. He suffers no consequences at this point however friends and family began to notice he is doing more jaywalking than usual. Such could also be said of the beginning of our drinking escapades. Up to this point people would consider us just to be foolish when it came to the drink problem. Finally, the jaywalker is injured several times in succession. This shows the escalation of our drinking problem and that we are starting to suffer consequences from this problem.
Someone pasted crystal structures at this point:
No. 1
Structure and simulated powder diffractogram of NaLiAcSn2 (the PBE geometry in Alexandria; Cu Kα (λ = 1.5418 Å)).
Neutral-atom scattering factors, no anomalous dispersion.

Structural model:
abc: 4.665 4.665 13.407
angles: 90.00 90.00 90.00
Space group I-4m2 (No. 119)
Inequivalent atoms, fractional coordinates:
Na 0.000 0.000 0.000 x2
Li 0.000 0.000 0.500 x2
Ac 0.000 0.500 0.750 x2
Sn 0.000 0.500 0.143 x4

Main lines, in order of rising 2θ (15° ≤ 2θ ≤ 90°):
- 2θ = 27.0°, I 95
- 2θ = 27.6°, I 100
- 2θ = 30.2°, I 72
- 2θ = 38.6°, I 49
- 2θ = 38.7°, I 84
- 2θ = 41.0°, I 21
- 2θ = 48.1°, I 45
- 2θ = 55.8°, I 76
- 2θ = 76.7°, I 25
- 2θ = 82.8°, I 26

***

No. 2
Structure and simulated powder diffractogram of TbPm5Tm5 (the PBE geometry in Alexandria; Cu Kα (λ = 1.5418 Å)).
Neutral-atom scattering factors, no anomalous dispersion.

Structural model:
abc: 6.0521 6.0521 11.7873
angles: 90.00 90.00 120.00
Space group P-6m2 (No. 187)
Inequivalent atoms, fractional coordinates:
Tb 0.0000 0.0000 0.0000 x1
Pm 0.0000 0.0000 0.3155 x2
Pm 0.3333 0.6667 0.1526 x2
Pm 0.6667 0.3333 0.0000 x1
Tm 0.5003 0.0005 0.5000 x3
Tm 0.6667 0.3333 0.2660 x2

Main lines, in order of rising 2θ (15° ≤ 2θ ≤ 90°):
- 2θ = 28.4°, I 100
- 2θ = 29.5°, I 85
- 2θ = 30.5°, I 33
- 2θ = 33.3°, I 27
- 2θ = 34.9°, I 36
- 2θ = 35.1°, I 35
- 2θ = 37.5°, I 55
- 2θ = 46.4°, I 28
- 2θ = 51.7°, I 38
- 2θ = 61.3°, I 29

***

No. 3
Structure and simulated powder diffractogram of CaSm7Dy4 (the PBE geometry in Alexandria; Cu Kα (λ = 1.5418 Å)).
Neutral-atom scattering factors, no anomalous dispersion.

Structural model:
abc: 6.311 7.296 8.989
angles: 90.11 103.60 90.05
Space group P-1 (No. 2)
Inequivalent atoms, fractional coordinates:
Ca 0.000 0.000 0.000 x1
Sm 0.000 0.500 0.000 x1
Sm 0.226 0.000 0.660 x2
Sm 0.283 0.254 0.338 x2
Sm 0.499 0.742 0.001 x2
Dy 0.220 0.500 0.668 x2
Dy 0.282 0.745 0.337 x2

Main lines, in order of rising 2θ (15° ≤ 2θ ≤ 90°):
- 2θ = 28.5°, I 33
- 2θ = 29.1°, I 27
- 2θ = 30.7°, I 53
- 2θ = 31.5°, I 100
- 2θ = 33.1°, I 95
- 2θ = 50.0°, I 41
- 2θ = 53.9°, I 13
- 2θ = 57.2°, I 14
- 2θ = 59.9°, I 31
- 2θ = 60.3°, I 15

***

No. 4
Structure and simulated powder diffractogram of Cs2MgTl2Cd (the PBE geometry in Alexandria; Cu Kα (λ = 1.5418 Å)).
Neutral-atom scattering factors, no anomalous dispersion.

Structural model:
abc: 6.609 17.381 8.889
angles: 90.00 90.00 90.00
Space group Ibam (No. 72)
Inequivalent atoms, fractional coordinates:
Cs 0.241 0.174 0.000 x8
Mg 0.000 0.500 0.250 x4
Tl 0.243 0.427 0.000 x8
Cd 0.000 0.000 0.250 x4

Main lines, in order of rising 2θ (15° ≤ 2θ ≤ 90°):
- 2θ = 20.0°, I 33
- 2θ = 26.5°, I 100
- 2θ = 27.0°, I 16
- 2θ = 28.7°, I 14
- 2θ = 33.8°, I 43
- 2θ = 39.2°, I 35
- 2θ = 40.6°, I 13
- 2θ = 46.5°, I 13
- 2θ = 47.4°, I 20
- 2θ = 56.2°, I 12

***

> Which formula does entry 2 have?

TbPm5Tm5


No. 1
Simulated powder diffraction line list
Compound: Be3Ag4P3BrO12
Radiation: Cu Kα
Structure: a GGA-PBE-relaxed structure
So much for the crystal structures:
Normal people would stop jaywalking after such injuries. The same goes for a normal drinker. They would evaluate the situation and realize that drinking is doing them no good. They may even stop drinking for good. However, our jaywalker at this point cannot stop. Presently he is hit again and fractures his skull. More serious consequences for the jaywalker and the alcoholic. By now in the alcoholic the physical allergy has become manifest and they cannot stop drinking even if they wanted to.
### Calculated crystals, as found in the file
____________
No. 1
Diffraction record for Lu2Ni17. The X-ray powder pattern is simulated, not measured: it uses a PBE-relaxed structure and Cu Kα.
Neutral-atom scattering factors, no anomalous dispersion.

Structural model:
abc: 8.2144 8.2144 8.0000
angles: 90.00 90.00 120.00
Space group P6_3/mmc (No. 194)
Symmetry-distinct sites (fractional):
1 Lu 0.0000 0.0000 0.2500 x2
2 Lu 0.3333 0.6667 0.2500 x2
3 Ni 0.0000 0.5000 0.0000 x6
4 Ni 0.0379 0.3658 0.7500 x12
5 Ni 0.1654 0.3307 0.0193 x12
6 Ni 0.3333 0.6667 0.6019 x4

Largest 10 diffraction maxima, most intense first, 10 to 80 degrees two-theta:
| 2θ/deg | I (rel.) |
| --- | --- |
| 44.41 | 100 |
| 44.10 | 59 |
| 37.94 | 43 |
| 31.21 | 38 |
| 42.36 | 34 |
| 45.34 | 31 |
| 49.92 | 18 |
| 73.05 | 17 |
| 65.10 | 17 |
| 48.05 | 14 |

No. 2
Diffraction record for Ca3Cu6P8O32. The X-ray powder pattern is simulated, not measured: it uses a PBE-relaxed structure and Cu Kα.
Neutral-atom scattering factors, no anomalous dispersion.

Structural model:
abc: 4.905 9.197 14.558
angles: 84.80 89.88 89.36
Space group P1 (No. 1)
Symmetry-distinct sites (fractional):
1 Ca 0.000 0.000 0.000 x1
2 Ca 0.031 0.952 0.729 x1
3 Ca 0.497 0.499 0.492 x1
4 Cu 0.000 0.998 0.490 x1
5 Cu 0.038 0.339 0.873 x1
6 Cu 0.463 0.830 0.369 x1
7 Cu 0.498 0.499 0.994 x1
8 Cu 0.520 0.174 0.613 x1
9 Cu 0.961 0.665 0.117 x1
10 P 0.007 0.345 0.086 x1
11 P 0.008 0.373 0.655 x1
12 P 0.486 0.843 0.585 x1
13 P 0.487 0.876 0.154 x1
14 P 0.506 0.121 0.835 x1
15 P 0.507 0.152 0.401 x1
16 P 0.988 0.621 0.333 x1
17 P 0.989 0.653 0.904 x1
18 O 0.042 0.583 0.233 x1
19 O 0.064 0.259 0.998 x1
20 O 0.076 0.246 0.169 x1
21 O 0.091 0.778 0.348 x1
22 O 0.131 0.502 0.395 x1
23 O 0.181 0.868 0.131 x1
24 O 0.184 0.491 0.071 x1
25 O 0.205 0.100 0.397 x1
26 O 0.289 0.597 0.899 x1
27 O 0.301 0.992 0.572 x1
28 O 0.316 0.369 0.631 x1
29 O 0.348 0.002 0.891 x1
30 O 0.399 0.761 0.674 x1
31 O 0.403 0.278 0.848 x1
32 O 0.436 0.758 0.500 x1
33 O 0.456 0.082 0.732 x1
34 O 0.540 0.915 0.254 x1
35 O 0.565 0.241 0.487 x1
36 O 0.575 0.251 0.317 x1
37 O 0.593 0.718 0.140 x1
38 O 0.627 0.994 0.093 x1
39 O 0.681 0.629 0.356 x1
40 O 0.682 0.004 0.417 x1
41 O 0.704 0.400 0.088 x1
42 O 0.787 0.900 0.590 x1
43 O 0.810 0.507 0.916 x1
44 O 0.816 0.112 0.852 x1
45 O 0.862 0.490 0.592 x1
46 O 0.910 0.213 0.643 x1
47 O 0.918 0.752 0.819 x1
48 O 0.927 0.739 0.989 x1
49 O 0.951 0.414 0.755 x1

Largest 10 diffraction maxima, most intense first, 10 to 80 degrees two-theta:
| 2θ/deg | I (rel.) |
| --- | --- |
| 11.89 | 100 |
| 27.09 | 24 |
| 26.78 | 23 |
| 12.21 | 23 |
| 19.10 | 22 |
| 36.64 | 22 |
| 34.44 | 20 |
| 34.80 | 20 |
| 24.54 | 17 |
| 31.59 | 16 |

No. 3
Diffraction record for TlAgF3. The X-ray powder pattern is simulated, not measured: it uses a PBE-relaxed structure and Cu Kα.
Neutral-atom scattering factors, no anomalous dispersion.

Structural model:
abc: 4.427 4.429 4.429
angles: 89.90 89.17 89.59
Space group P1 (No. 1)
Symmetry-distinct sites (fractional):
1 Tl 0.000 0.000 0.000 x1
____________
The same goes for the Jaywalker. At this point he cannot get the jaywalking idea out of his head. Consequences become worse and his wife threatens to leave him if he doesn’t stop this absurd behavior. This can be compared to the disease of alcoholism. The alcoholic is on a collision course with death, insanity or jail. The Jaywalker and the alcoholic finally realize that they need help. They shut themselves up in a treatment center in order to stop jaywalking and drinking. While in treatment they are able to not participate in their respective behaviors. They have a 30-day respite from their disease. Then comes the day of release. Immediately after being released from the treatment center the Jaywalker jumps in front of a fire engine and breaks his back. The alcoholic upon release heads to the closest liquor store and buys himself a bottle and begins drinking on the way home.
-- Attached: data records --
........
The following is a calculated powder diffraction line list of Li3Zn2Cd3. It was derived from a GGA-PBE-relaxed structure, using λ = 1.5418 Å (Cu Kα).
Neutral-atom scattering factors, no anomalous dispersion.

Cell and atoms:
abc: 3.477 4.417 9.442
angles: 102.86 100.51 90.18
Space group P-1 (No. 2)
Inequivalent atoms, fractional coordinates:
Li 0.000 0.000 0.000 (multiplicity 1)
Li 0.132 0.631 0.262 (multiplicity 2)
Zn 0.249 0.251 0.502 (multiplicity 2)
Cd 0.370 0.872 0.743 (multiplicity 2)
Cd 0.500 0.500 0.000 (multiplicity 1)

The 6 most intense peaks (2θ = 5–70°), in order of rising 2θ:
24.9 deg, rel. 46, hkl 0 1 1
25.1 deg, rel. 45, hkl 0 1 -2
26.1 deg, rel. 76, hkl 1 0 -1
38.4 deg, rel. 100, hkl 1 1 1
38.6 deg, rel. 49, hkl 1 -1 2
38.7 deg, rel. 49, hkl 1 1 -3

* * * * *

[1]
# Na3Y2P3O12
Calculated XRD peak list, λ = 1.5418 Å (Cu Kα). Input: DFT lattice parameters and positions (GGA-PBE).
Peak positions follow from Bragg's law for the DFT cell and can differ from measured ones.

```
data_Na3Y2P3O12
_chemical_formula_sum 'Na6 Y4 P6 O24'
_symmetry_space_group_name_H-M 'P 1'
_symmetry_Int_Tables_number 1
_symmetry_space_group_name_Hall 'P 1'
_cell_length_a 9.3556
_cell_length_b 9.3556
_cell_length_c 9.4266
_cell_angle_alpha 119.93
_cell_angle_beta 119.93
_cell_angle_gamma 59.67
loop_
_atom_site_label
_atom_site_fract_x
_atom_site_fract_y
_atom_site_fract_z
_atom_site_occupancy
Na1 0.0686 0.9314 0.5000 1
Na2 0.2062 0.6572 0.7986 1
Na3 0.5917 0.7904 0.0455 1
Na4 0.6572 0.2062 0.2986 1
Na5 0.7904 0.5917 0.5455 1
Na6 0.9314 0.0686 0.0000 1
Y1 0.0548 0.5311 0.3545 1
Y2 0.3374 0.8379 0.2457 1
Y3 0.5311 0.0548 0.8545 1
Y4 0.8379 0.3374 0.7457 1
P1 0.1287 0.2420 0.5433 1
P2 0.2420 0.1287 0.0433 1
P3 0.4432 0.6472 0.5635 1
P4 0.6472 0.4432 0.0635 1
P5 0.7471 0.9370 0.5511 1
P6 0.9370 0.7471 0.0511 1
O1 0.0861 0.7741 0.0490 1
O2 0.0884 0.1620 0.8778 1
O3 0.1029 0.4211 0.5475 1
O4 0.1620 0.0884 0.3778 1
O5 0.1995 0.2832 0.2034 1
O6 0.2576 0.9551 0.0447 1
O7 0.2819 0.6311 0.5546 1
O8 0.2832 0.1995 0.7034 1
O9 0.3940 0.7030 0.4110 1
O10 0.4211 0.1029 0.0475 1
O11 0.4714 0.5995 0.0509 1
O12 0.4969 0.7921 0.7355 1
O13 0.5915 0.8902 0.3898 1
O14 0.5995 0.4714 0.5509 1
O15 0.6311 0.2819 0.0546 1
O16 0.7030 0.3940 0.9110 1
O17 0.7133 0.9854 0.7185 1
O18 0.7741 0.0861 0.5490 1
O19 0.7755 0.9206 0.0509 1
O20 0.7921 0.4969 0.2355 1
O21 0.8902 0.5915 0.8898 1
O22 0.9206 0.7755 0.5509 1
O23 0.9551 0.2576 0.5447 1
O24 0.9854 0.7133 0.2185 1
```

Principal peaks in the range 2θ from 15° to 90°, low angle first:
Position (°2θ)	I_rel
18.87	631
19.01	526
22.21	168
22.28	327
26.90	315
30.05	1000
33.11	372
33.28	477
45.35	274
49.45	176

---

[2]
# Lu3Ru
Calculated XRD peak list, λ = 1.5418 Å (Cu Kα). Input: DFT lattice parameters and positions (GGA-PBE).
Peak positions follow from Bragg's law for the DFT cell and can differ from measured ones.

```
data_Lu3Ru
_chemical_formula_sum 'Lu12 Ru4'
_symmetry_space_group_name_H-M 'P 1'
_symmetry_Int_Tables_number 1
........
What could the problem be? Here we have 2 individuals who just spent 30 days learning about the diseases of jaywalking and alcoholism. They were given lots of knowledge regarding the diseases. But immediately they both pick up where they left off. The reason being we suspect is that they did not have the entire psychic change while in treatment that is required to overcome these addictions. They had gained some self-knowledge but had not had the psychic change necessary to overcome the diseases. Is their hope for these 2 fellows? Yes, there is. With additional treatment focusing on the solution to the diseases both persons can stop these obsessive behaviors and live normal, productive lives. When the psychic change occurs the obsession to drink or jaywalk will be removed. The mind and soul must undergo a change in order to remain free of the diseases. This is possible through the taking of the 12 Steps.